'Sitrilakkiyam' not only depicts the Kuravan way of life in a novel manner, but also centres around the Kuravars, unlike other works that centre around the powerful sections, depicting Draupadi as a 'Kurathi' and presenting a powerful form of alternate narration. Adivasi Awaaz creator Kavipriya, provides an insight into this work belonging to the 17th or 18th century.
Kuravars are indigenous people who live in the hilly areas of Tamil Nadu. The word Kuravar implies 'hill dwellers' or 'hunters'. Historically, they have been considered as 'untouchables'. Their primary occupation includes farming and sheep rearing. Hence, Kuravan literature often depicts the glory of ploughing.
'Sitrilakkiyam' was first published in 1937 by the Poomagal Vilasa Printing Press, Chennai Publication. However, it is anticipated that the book belonged to the 17th or 18th century. It has been argued that this book illustrates the lives and way of living of the Kuravars. The book talks about pallu and kuram. The origin of these words can be traced back to the ethnic groups Pallars and Kuravars. While describing these groups, the book discusses the joys of ploughing, depicting farming as an important occupation. It also illustrates the lives and traits of the Kuravars and the prosperity of their region.
┌──
The following is a theoretical X-ray powder pattern of Pm5ScSn8. It was derived from a GGA-PBE-relaxed structure, using Cu Kα X-rays.
Intensities are scaled so that the largest is 100.

Atomic structure:
```
data_Pm5ScSn8
_chemical_formula_sum 'Pm5 Sc1 Sn8'
_symmetry_space_group_name_H-M 'P 1'
_symmetry_Int_Tables_number 1
_cell_length_a 8.084
_cell_length_b 8.084
_cell_length_c 8.084
_cell_angle_alpha 107.05
_cell_angle_beta 107.05
_cell_angle_gamma 114.43
loop_
_symmetry_equiv_pos_as_xyz
'x,y,z'
loop_
_atom_site_label
_atom_site_type_symbol
_atom_site_fract_x
_atom_site_fract_y
_atom_site_fract_z
Pm1 Pm 0.000 0.000 0.000
Pm2 Pm 0.256 0.119 0.639
Pm3 Pm 0.383 0.744 0.864
Pm4 Pm 0.481 0.617 0.361
Pm5 Pm 0.881 0.519 0.136
Sc1 Sc 0.750 0.250 0.500
Sn1 Sn 0.096 0.362 0.892
Sn2 Sn 0.101 0.352 0.409
Sn3 Sn 0.309 0.899 0.251
Sn4 Sn 0.469 0.204 0.108
Sn5 Sn 0.638 0.531 0.734
Sn6 Sn 0.648 0.057 0.749
Sn7 Sn 0.796 0.904 0.266
Sn8 Sn 0.943 0.691 0.591
```

Principal peaks in the range 10° ≤ 2θ ≤ 90°, by angle:
two_theta, d (Å), intensity
29.39, 3.039, 100
29.69, 3.009, 55
32.05, 2.792, 48
35.19, 2.550, 50
35.97, 2.497, 44
37.24, 2.414, 76
47.11, 1.929, 33
59.44, 1.555, 23

=====

# Tb2Dy8Ho3
Computed powder diffraction line list, Cu Kα (λ = 1.5418 Å). Input: the PBE geometry in Alexandria.
Peak positions follow from Bragg's law for the DFT cell and can differ from measured ones.

Main lines, by intensity (5 to 70 degrees two-theta):
two_theta  intensity  hkl
33.69  100  2 4 1
32.18  40  0 0 2
31.04  32  0 6 1
29.76  29  1 5 1
58.34  27  2 4 3
25.13  20  2 2 0

Crystal structure
```
data_Tb2Dy8Ho3
_chemical_formula_sum 'Tb4 Dy16 Ho6'
_cell_length_a 7.5689
_cell_length_b 20.2078
_cell_length_c 5.5637
_cell_angle_alpha 90.00
_cell_angle_beta 90.00
_cell_angle_gamma 90.00
_symmetry_space_group_name_H-M 'C m m m'
_symmetry_Int_Tables_number 65
_symmetry_space_group_name_Hall '-C 2 2'
loop_
_atom_site_label
_atom_site_fract_x
_atom_site_fract_y
_atom_site_fract_z
Tb1 0.0000 0.2413 0.0000
Dy1 0.0000 0.1322 0.5000
Dy2 0.0000 0.3333 0.5000
Dy3 0.2113 0.3925 0.0000
Ho1 0.0000 0.0000 0.0000
Ho2 0.2148 0.5000 0.5000
```
└──
• Back to the entry:
The book details the individual as well as the community lives of the Kuravars. It gives great importance to 'Kurathi' (soothsaying, astrology, etc usually by a woman) and at the same time focuses on the cultural aspects of the Kuravan community like songs and dances. The book also talks about the Kuravan national wealth. Sitrilakkiyam, is considered an important literature by the Kuravars, as the protagonist 'Draupadi' is depicted as a Kurathi. Kurathi has been an important way of life for the Kuravars. This is considered to be the novelty of the book. The book also details other civilizational aspects of the Kuravars. Works like 'Silappathikaram' have talked about the lives of Kuravars. We also get to know about the Kuravan life through songs of the 'Kurinji Land'; but none of them discussed the nomadic life of the Kuravars. They all depicted the Kuravars as merely farmers and agriculturalists. While farming has been an important occupation for them, their way of life remains incomplete without Kurathi. The omission of Kurathi, has omitted the nomadic history of the Kuravars. Hence, Sitrilakkiyam becomes an important piece of literature for them.
Draupadi in Sitrilakkiyam, is depicted as a devotee to Mayavar (Tirumaal), who receives the blessings of the divine in the form of a kuri or basket. The book illustrates Draupadi as carrying a basket on her left hip supported by her left hand, an infant on her back and a stick in her right hand. According to Sitrilakkiyam, Draupadi not only received the basket as a blessing but also the child. A translated excerpt from the book, which describes Draupadi and her works, is provided below:
“She (Draupadi) put mountain neem and nuts for medicines in the kuri ;
The tiger's claws and special roots,
Fox teeth and herbs,
[1]
Theoretical powder diffractogram
Compound: Li2VO2F
Radiation: Cu Kα
Structure: a cell relaxed with PBE+U
Neutral-atom scattering factors, no anomalous dispersion.

Structure:
a = 13.2629 Å, b = 13.2629 Å, c = 7.3439 Å
α = 90.78°, β = 90.78°, γ = 12.98°
Positions (direct):
Li 0.0000 0.0000 0.0000
Li 0.1164 0.1164 0.7120
Li 0.1773 0.1773 0.0023
Li 0.3346 0.3346 0.7053
Li 0.3998 0.3998 0.0140
Li 0.5325 0.5325 0.7237
Li 0.5806 0.5806 0.9982
Li 0.7303 0.7303 0.7143
Li 0.8002 0.8002 0.0103
Li 0.9336 0.9336 0.6951
V 0.0617 0.0617 0.3578
V 0.2673 0.2673 0.3776
V 0.4623 0.4623 0.3578
V 0.6608 0.6608 0.3704
V 0.8645 0.8645 0.3568
O 0.0603 0.0603 0.8606
O 0.1330 0.1330 0.2188
O 0.2016 0.2016 0.5025
O 0.3263 0.3263 0.2106
O 0.3955 0.3955 0.5108
O 0.5286 0.5286 0.2114
O 0.5965 0.5965 0.5068
O 0.7988 0.7988 0.5178
O 0.9272 0.9272 0.2050
O 0.9944 0.9944 0.5030
F 0.2664 0.2664 0.8591
F 0.4583 0.4583 0.8571
F 0.6671 0.6671 0.8516
F 0.7315 0.7315 0.2043
F 0.8628 0.8628 0.8631

Largest 6 diffraction maxima, by intensity, 2θ = 5–70°:
2θ = 12.05°, intensity 100.0; 2θ = 42.68°, intensity 44.7; 2θ = 24.24°, intensity 29.4; 2θ = 41.92°, intensity 23.1; 2θ = 34.41°, intensity 16.1; 2θ = 61.13°, intensity 14.0

=====

[2]
Theoretical powder diffractogram
Compound: Li5VO4F
Radiation: Cu Kα
Structure: a cell relaxed with PBE+U
Neutral-atom scattering factors, no anomalous dispersion.

Structure:
a = 5.1313 Å, b = 5.1313 Å, c = 5.8095 Å
α = 106.53°, β = 106.53°, γ = 46.06°
Positions (direct):
Li 0.0000 0.0000 0.0000
Li 0.0235 0.0235 0.4537
Li 0.3146 0.3146 0.6345
Li 0.6205 0.6205 0.8090
Li 0.6462 0.6462 0.2584
V 0.3069 0.3069 0.0993
O 0.1553 0.1553 0.8000
O 0.1838 0.1838 0.3024
O 0.4628 0.4628 0.9634
O 0.8218 0.8218 0.1312
F 0.4908 0.4908 0.4632

Largest 6 diffraction maxima, by intensity, 2θ = 5–70°:
2θ = 16.04°, intensity 100.0; 2θ = 43.41°, intensity 92.2; 2θ = 24.28°, intensity 90.8; 2θ = 21.29°, intensity 54.6; 2θ = 45.17°, intensity 38.0; 2θ = 64.43°, intensity 36.7

=====

[3]
Theoretical powder diffractogram
Compound: Li2VOF5
Radiation: Cu Kα
Structure: a cell relaxed with PBE+U
Neutral-atom scattering factors, no anomalous dispersion.

Structure:
a = 4.9608 Å, b = 4.9608 Å, c = 13.4019 Å
α = 90.00°, β = 90.00°, γ = 120.00°
Positions (direct):
Li 0.0058 0.0019 0.0000
Li 0.3221 0.6714 0.0000
Li 0.3286 0.6507 0.3333
Li 0.3493 0.6779 0.6667
Li 0.9961 0.9942 0.6667
Li 0.9981 0.0039 0.3333
V 0.6480 0.3201 0.1654
V 0.6722 0.3520 0.8320
V 0.6799 0.3278 0.4987
O 0.3758 0.0498 0.2344
O 0.6740 0.6242 0.9011
O 0.9502 0.3260 0.5677
F 0.3424 0.0183 0.5704
F 0.3445 0.3274 0.4096
F 0.3638 0.0162 0.9048
F 0.3639 0.3221 0.7430
F 0.3701 0.3487 0.0750
F 0.6513 0.0214 0.4084
F 0.6525 0.6362 0.5715
F 0.6726 0.0171 0.7429
F 0.6759 0.6576 0.2370
F 0.6779 0.0418 0.0763
F 0.9582 0.6361 0.4097
F 0.9786 0.6299 0.7417
F 0.9817 0.3241 0.9037
F 0.9829 0.6555 0.0762
F 0.9838 0.3475 0.2381

Largest 6 diffraction maxima, by intensity, 2θ = 5–70°:
Drugs, which charmed men and women,
And medicines for youthfulness of old men and women ”
The book further mentions that Draupadi specialized in medicines to treat convulsions, abdominal pains, joint pains and the like. She always carried kilukiluppai (toy), kodikayiru (rope), thampukayiru (Tethering rope), brimanai (a wisp placed under a pot), summadu, prabangkol and oil jars with her in the kuri.
She is depicted questioning men and kings about the status of her caste, while they are mesmerized by her. She asks, "Isn’t our caste the worst caste?" In another passage of the book a Kuravar states, "Our caste is the worst caste. We are the lowest caste among the seven castes.” Clearly then, the Kuravars were seen as inferior during those times. Their services as Kurathi, workers and labourers were taken by men of all castes and the kings, however, they did not have dignity in the society. In one of her prophecies Draupadi declares that the war for Bharat was forthcoming and Duryodhana was going to perish. The painter in the palace wept on hearing this. Arjuna disguised as a Kuravan also lamented. The process of Draupadi prophesising is intricately detailed in the book. From mixing raw rice with coconut to lighting incense sticks and lamps, the book carefully outlines the entire process in the ritual of soothsaying, implying the importance of this culture in the Kuravan life as well as in the lives of others during those times. Furthermore, the book talks about the arrest of Draupadi and other Kuravars present with her due to her prophecy about Duryodhana perishing. But the ministers of the palace reasoned that they would all fall if the Kuravars gather and thereby convince the king for their release. This reveals that while the socio-economic and political status of the Kuravars was poor and inferior, they had their strength in numbers and unity. It is perspectives like these which make Sitrilakkiyam, a narrative of the lower sections of the society; a narrative of powerful women from marginalized societies and a narrative of alternate histories.
Literature, mythologies folklores and the like to a large extent are storehouses of histories and narrations. While they are based on imaginary characters, their stories are derived from real lived experiences. This makes narrations powerful tools to influence future generations. It also decides the kind of knowledge that would be transferred to them. Usually, it is the powerful who narrate and in their narration there is a distinct dichotomy between the 'good' and the 'evil'. The 'good' is always depicted through 'brahmans', 'kshatriyas', 'beautiful obedient women' and the like who belong to the upper strata of the society, while the 'evil' is always depicted through the 'asurs' and 'rakshasas', who are predominantly derived from the lower castes and class. Hence, literatures like Sitrilakkiyam hold a lot of importance for the lower sections of the society as they present alternative forms of narrations, placing the marginalized at the centre.